[Assignment]
Duplicate the rows below exactly.

[Listing]
'''
The following is a PBE with a Hubbard U calculation of a relaxed structure of Li2DyMoO4, from Alexandria.

Structure (POSCAR):
```
Li2DyMoO4
1.0
-0.341 -1.204 4.234
0.641 -4.215 -1.147
4.623 3.286 -0.995
Li Dy Mo O
2 1 1 4
Direct
0.250 0.750 0.500
0.000 0.000 0.000
0.500 0.500 0.000
0.750 0.250 0.500
0.975 0.475 0.950
0.525 0.025 0.050
0.740 0.740 0.480
0.260 0.260 0.520
```

- total energy (eV per atom) = -6.75
- density of states at the Fermi level (states/eV/f.u.) = 0.00
- symmetry = No. 119

* * * * *

Crystalline OsWBrCl2 at its relaxed geometry, computed with PBE.

Total moment ... 0.8771 μB per atom
Fermi-level density of states ... 7.04 states/eV/f.u.
Formation energy (no corrections) ... 2.547 eV per atom
Space group ... No. 123
Total DFT energy (no corrections) ... -3.36 eV/atom

Cell lengths 4.8260, 5.1317, 4.8260 Å; angles 90.00, 90.00, 90.00 degrees
Positions (direct):
Os  0.5000  0.5000  0.5000
Br  0.0000  0.0000  0.0000
W  0.0000  0.5000  0.0000
Cl  0.0000  0.0000  0.5000
Cl  0.5000  0.0000  0.0000



Crystalline KPrAl4 at its relaxed geometry, computed with PBE.

Total moment ... 0.0000 μB per atom
Fermi-level density of states ... 4.02 states/eV/f.u.
ΔE_f ... -0.124 eV per atom
Space group ... No. 216
Total DFT energy (no corrections) ... -3.60 eV/atom

Cell lengths 5.7838, 5.7838, 5.7838 Å; angles 60.00, 60.00, 60.00 degrees
Positions (direct):
Pr  0.0000  0.0000  0.0000
K  0.2500  0.2500  0.2500
Al  0.6259  0.6259  0.1222
Al  0.6259  0.1222  0.6259
Al  0.6259  0.6259  0.6259
Al  0.1222  0.6259  0.6259



Crystalline ThCu5Pd7 at its relaxed geometry, computed with PBE.

Total moment ... 0.0000 μB per atom
Fermi-level density of states ... 3.52 states/eV/f.u.
ΔE_f ... -0.373 eV per atom
Space group ... No. 44
Total DFT energy (no corrections) ... -5.32 eV/atom

Cell lengths 5.0627, 6.7595, 6.7595 Å; angles 80.95, 68.01, 68.01 degrees
Positions (direct):
Th  0.9935  0.0065  0.0065
Cu  0.5009  0.9960  0.5036
Cu  0.9996  0.9960  0.5036
Cu  0.5009  0.5036  0.9960
Cu  0.9996  0.5036  0.9960
Cu  0.7346  0.7654  0.7654
Pd  0.6516  0.3484  0.3484
Pd  0.3427  0.6573  0.6573
Pd  0.9983  0.3433  0.6600
Pd  0.9983  0.6600  0.3433
Pd  0.2719  0.2281  0.2281
Pd  0.5041  0.7925  0.1994
Pd  0.5041  0.1994  0.7925



Crystalline Ta2CrH8 at its relaxed geometry, computed with PBE.

Total moment ... 0.0000 μB per atom
Fermi-level density of states ... 2.40 states/eV/f.u.
Space group ... No. 71
Total DFT energy (no corrections) ... -5.43 eV/atom

Cell lengths 2.9290, 4.2998, 6.2553 Å; angles 110.10, 103.54, 90.00 degrees
Positions (direct):
Ta  0.1362  0.6362  0.2723
Ta  0.8638  0.3638  0.7277
Cr  0.5000  0.0000  0.0000
H  0.6284  0.9309  0.2569
H  0.3715  0.6740  0.7431
H  0.2466  0.2466  0.4931
H  0.0000  0.2337  0.0000
H  0.7534  0.7534  0.5069
H  0.6284  0.3260  0.2569
H  0.3715  0.0691  0.7431
H  0.0000  0.7663  0.0000



Crystalline BaCdSe at its relaxed geometry, computed with PBE.

Total moment ... 0.0000 μB per atom
Formation energy (no corrections) ... -0.913 eV per atom
Space group ... No. 107
Total DFT energy (no corrections) ... -3.02 eV/atom
E above lowest polymorph ... 216.4 meV per atom

Cell lengths 6.6421, 6.6419, 4.0815 Å; angles 72.11, 72.10, 35.79 degrees
Positions (direct):
Ba  0.0249  0.0249  0.9751
Cd  0.3167  0.3167  0.6833
Se  0.6584  0.6584  0.3416



Crystalline YP2Au at its relaxed geometry, computed with PBE.

Total moment ... 0.0000 μB per atom
Fermi-level density of states ... 1.74 states/eV/f.u.
ΔE_f ... -0.453 eV per atom
Space group ... No. 71
Total DFT energy (no corrections) ... -5.59 eV/atom
E above lowest polymorph ... 273.1 meV per atom

Cell lengths 4.8628, 4.8628, 4.8628 Å; angles 129.63, 108.23, 92.83 degrees
Positions (direct):
Au  0.7500  0.2500  0.5000
P  0.9500  0.9500  0.0000
P  0.5500  0.5500  0.0000
Y  0.2500  0.7500  0.5000



Crystalline Zn2FeTc at its relaxed geometry, computed with PBE.

Total moment ... 0.8383 μB per atom
Fermi-level density of states ... 1.74 states/eV/f.u.
'''

[Solution]
The following is a PBE with a Hubbard U calculation of a relaxed structure of Li2DyMoO4, from Alexandria.

Structure (POSCAR):
```
Li2DyMoO4
1.0
-0.341 -1.204 4.234
0.641 -4.215 -1.147
4.623 3.286 -0.995
Li Dy Mo O
2 1 1 4
Direct
0.250 0.750 0.500
0.000 0.000 0.000
0.500 0.500 0.000
0.750 0.250 0.500
0.975 0.475 0.950
0.525 0.025 0.050
0.740 0.740 0.480
0.260 0.260 0.520
```

- total energy (eV per atom) = -6.75
- density of states at the Fermi level (states/eV/f.u.) = 0.00
- symmetry = No. 119

* * * * *

Crystalline OsWBrCl2 at its relaxed geometry, computed with PBE.

Total moment ... 0.8771 μB per atom
Fermi-level density of states ... 7.04 states/eV/f.u.
Formation energy (no corrections) ... 2.547 eV per atom
Space group ... No. 123
Total DFT energy (no corrections) ... -3.36 eV/atom

Cell lengths 4.8260, 5.1317, 4.8260 Å; angles 90.00, 90.00, 90.00 degrees
Positions (direct):
Os  0.5000  0.5000  0.5000
Br  0.0000  0.0000  0.0000
W  0.0000  0.5000  0.0000
Cl  0.0000  0.0000  0.5000
Cl  0.5000  0.0000  0.0000



Crystalline KPrAl4 at its relaxed geometry, computed with PBE.

Total moment ... 0.0000 μB per atom
Fermi-level density of states ... 4.02 states/eV/f.u.
ΔE_f ... -0.124 eV per atom
Space group ... No. 216
Total DFT energy (no corrections) ... -3.60 eV/atom

Cell lengths 5.7838, 5.7838, 5.7838 Å; angles 60.00, 60.00, 60.00 degrees
Positions (direct):
Pr  0.0000  0.0000  0.0000
K  0.2500  0.2500  0.2500
Al  0.6259  0.6259  0.1222
Al  0.6259  0.1222  0.6259
Al  0.6259  0.6259  0.6259
Al  0.1222  0.6259  0.6259



Crystalline ThCu5Pd7 at its relaxed geometry, computed with PBE.

Total moment ... 0.0000 μB per atom
Fermi-level density of states ... 3.52 states/eV/f.u.
ΔE_f ... -0.373 eV per atom
Space group ... No. 44
Total DFT energy (no corrections) ... -5.32 eV/atom

Cell lengths 5.0627, 6.7595, 6.7595 Å; angles 80.95, 68.01, 68.01 degrees
Positions (direct):
Th  0.9935  0.0065  0.0065
Cu  0.5009  0.9960  0.5036
Cu  0.9996  0.9960  0.5036
Cu  0.5009  0.5036  0.9960
Cu  0.9996  0.5036  0.9960
Cu  0.7346  0.7654  0.7654
Pd  0.6516  0.3484  0.3484
Pd  0.3427  0.6573  0.6573
Pd  0.9983  0.3433  0.6600
Pd  0.9983  0.6600  0.3433
Pd  0.2719  0.2281  0.2281
Pd  0.5041  0.7925  0.1994
Pd  0.5041  0.1994  0.7925



Crystalline Ta2CrH8 at its relaxed geometry, computed with PBE.

Total moment ... 0.0000 μB per atom
Fermi-level density of states ... 2.40 states/eV/f.u.
Space group ... No. 71
Total DFT energy (no corrections) ... -5.43 eV/atom

Cell lengths 2.9290, 4.2998, 6.2553 Å; angles 110.10, 103.54, 90.00 degrees
Positions (direct):
Ta  0.1362  0.6362  0.2723
Ta  0.8638  0.3638  0.7277
Cr  0.5000  0.0000  0.0000
H  0.6284  0.9309  0.2569
H  0.3715  0.6740  0.7431
H  0.2466  0.2466  0.4931
H  0.0000  0.2337  0.0000
H  0.7534  0.7534  0.5069
H  0.6284  0.3260  0.2569
H  0.3715  0.0691  0.7431
H  0.0000  0.7663  0.0000



Crystalline BaCdSe at its relaxed geometry, computed with PBE.

Total moment ... 0.0000 μB per atom
Formation energy (no corrections) ... -0.913 eV per atom
Space group ... No. 107
Total DFT energy (no corrections) ... -3.02 eV/atom
E above lowest polymorph ... 216.4 meV per atom

Cell lengths 6.6421, 6.6419, 4.0815 Å; angles 72.11, 72.10, 35.79 degrees
Positions (direct):
Ba  0.0249  0.0249  0.9751
Cd  0.3167  0.3167  0.6833
Se  0.6584  0.6584  0.3416



Crystalline YP2Au at its relaxed geometry, computed with PBE.

Total moment ... 0.0000 μB per atom
Fermi-level density of states ... 1.74 states/eV/f.u.
ΔE_f ... -0.453 eV per atom
Space group ... No. 71
Total DFT energy (no corrections) ... -5.59 eV/atom
E above lowest polymorph ... 273.1 meV per atom

Cell lengths 4.8628, 4.8628, 4.8628 Å; angles 129.63, 108.23, 92.83 degrees
Positions (direct):
Au  0.7500  0.2500  0.5000
P  0.9500  0.9500  0.0000
P  0.5500  0.5500  0.0000
Y  0.2500  0.7500  0.5000



Crystalline Zn2FeTc at its relaxed geometry, computed with PBE.

Total moment ... 0.8383 μB per atom
Fermi-level density of states ... 1.74 states/eV/f.u.